Audio Sermons
The Lord’s Zeal
Did Jesus Turn Water Into Alcoholic Wine? (Part 2)
The Bible says that Jesus turned water into wine at the wedding in Cana. Modern people have added that: “Wine is wine” or “they didn’t have any way to keep grape juice from fermenting in the first century.” So, they argue, the “wine” had to be alcoholic. But what are the facts? Join us as we explore this commonly misunderstood Biblical account.
Between two parts of the entry: calculated crystals:
=====
1.
Theoretical powder X-ray diffraction pattern
Compound: Ni3Au
Radiation: a wavelength of 1.5418 Å
Structure: a structure optimized by DFT (GGA-PBE)

abc: 5.2385 5.2385 4.2542
angles: 90.00 90.00 120.00
Atoms (fractional coordinates):
Ni: 0.1588 0.3175 0.2500
Ni: 0.1588 0.8412 0.2500
Ni: 0.3175 0.1588 0.7500
Ni: 0.6825 0.8412 0.2500
Ni: 0.8412 0.1588 0.7500
Ni: 0.8412 0.6825 0.7500
Au: 0.3333 0.6667 0.7500
Au: 0.6667 0.3333 0.2500

The 10 most intense peaks (15 to 90 degrees two-theta), low angle first:
| Position (°2θ) | I_rel |
| --- | --- |
| 28.77 | 43 |
| 34.23 | 17 |
| 39.74 | 24 |
| 42.50 | 27 |
| 45.31 | 100 |
| 59.58 | 14 |
| 72.12 | 16 |
| 79.75 | 18 |
| 87.46 | 19 |
| 89.41 | 14 |


2.
Theoretical powder X-ray diffraction pattern
Compound: KNa2RuF6
Radiation: a wavelength of 1.5418 Å
Structure: a structure optimized by DFT (GGA-PBE)

abc: 6.3056 6.3056 6.3056
angles: 60.00 60.00 60.00
Atoms (fractional coordinates):
K: 0.0000 0.0000 0.0000
Na: 0.2500 0.2500 0.2500
Na: 0.7500 0.7500 0.7500
Ru: 0.5000 0.5000 0.5000
F: 0.2745 0.2745 0.7255
F: 0.2745 0.7255 0.2745
F: 0.2745 0.7255 0.7255
F: 0.7255 0.2745 0.2745
F: 0.7255 0.2745 0.7255
F: 0.7255 0.7255 0.2745

The 10 most intense peaks (15 to 90 degrees two-theta), low angle first:
| Position (°2θ) | I_rel |
| --- | --- |
| 17.22 | 59 |
| 19.91 | 96 |
| 28.31 | 100 |
| 33.32 | 17 |
| 40.46 | 69 |
| 45.49 | 34 |
| 50.11 | 37 |
| 58.55 | 38 |
| 66.29 | 19 |
| 80.62 | 20 |


What did the second record say?
Theoretical powder X-ray diffraction pattern
Compound: KNa2RuF6
Radiation: a wavelength of 1.5418 Å
Structure: a structure optimized by DFT (GGA-PBE)

abc: 6.3056 6.3056 6.3056
angles: 60.00 60.00 60.00
Atoms (fractional coordinates):
K: 0.0000 0.0000 0.0000
Na: 0.2500 0.2500 0.2500
Na: 0.7500 0.7500 0.7500
Ru: 0.5000 0.5000 0.5000
F: 0.2745 0.2745 0.7255
F: 0.2745 0.7255 0.2745
F: 0.2745 0.7255 0.7255
F: 0.7255 0.2745 0.2745
F: 0.7255 0.2745 0.7255
F: 0.7255 0.7255 0.2745

The 10 most intense peaks (15 to 90 degrees two-theta), low angle first:
| Position (°2θ) | I_rel |
| --- | --- |
| 17.22 | 59 |
| 19.91 | 96 |
| 28.31 | 100 |
| 33.32 | 17 |
| 40.46 | 69 |
| 45.49 | 34 |
| 50.11 | 37 |
| 58.55 | 38 |
| 66.29 | 19 |
| 80.62 | 20 |


Repeat the second record exactly.
Theoretical powder X-ray diffraction pattern
Compound: KNa2RuF6
Radiation: a wavelength of 1.5418 Å
Structure: a structure optimized by DFT (GGA-PBE)

abc: 6.3056 6.3056 6.3056
angles: 60.00 60.00 60.00
Atoms (fractional coordinates):
K: 0.0000 0.0000 0.0000
Na: 0.2500 0.2500 0.2500
Na: 0.7500 0.7500 0.7500
Ru: 0.5000 0.5000 0.5000
F: 0.2745 0.2745 0.7255
F: 0.2745 0.7255 0.2745
F: 0.2745 0.7255 0.7255
F: 0.7255 0.2745 0.2745
F: 0.7255 0.2745 0.7255
F: 0.7255 0.7255 0.2745

The 10 most intense peaks (15 to 90 degrees two-theta), low angle first:
| Position (°2θ) | I_rel |
=====
End of the calculated crystals:
Did Jesus Turn Water Into Alcoholic Wine? (Part 1)
The Bible says that Jesus turned water into wine at the wedding in Cana. Modern people have added that: “Wine is wine” or “they didn’t have any way to keep grape juice from fermenting in the first century.” So, they argue, the “wine” had to be alcoholic. But what are the facts? Join us as we explore this commonly misunderstood Biblical account.
First Century Beliefs About
There has long been misconceptions about Jesus, even since the first century. Join us as we explore what different people have thought about Him, as well as what the Bible reveals about Him.
How Men Were Convinced About Jesus
Jesus invites investigation, he says to “come and see,” he wants us to ask questions, seek answers and reason with the minds he has given us. He has given us evidence to follow rather than our subjective feelings or “blind faith.” Will you come and see?
Every Part Does Its Share
What would the church look like if every member did its share? If we all worked as hard as we could to remain faithful and spread the word, would the church look or act any differently? Here are some practical tips to grow the church.
Jesus Under Assault
(Here the page breaks off for data records)
Calculated powder XRD pattern
Compound: Pm3Pr2Er6
Radiation: Cu Kα, 1.54184 Å
Structure: the PBE geometry in Alexandria
No peak broadening, texture or thermal motion is included.

Most intense lines, 2θ from 10° to 90°, in order of rising 2θ:
d (Å)  2θ (°)  I_rel
3.123  28.59  1000
2.918  30.64  245
2.768  32.35  210
2.616  34.27  797
2.383  37.75  607
1.806  50.54  246
1.685  54.45  212
1.490  62.34  204
1.483  62.65  219
1.417  65.94  241

Atomic structure:
abc: 16.9444 16.9444 16.9444
angles: 163.83 163.83 22.94
Element x y z (fractional)
Pm 0.0000 0.0000 0.0000
Pm 0.2041 0.2041 0.0000
Pm 0.7959 0.7959 0.0000
Pr 0.4534 0.4534 0.0000
Pr 0.5466 0.5466 0.0000
Er 0.1216 0.6216 0.5000
Er 0.3074 0.3074 0.0000
Er 0.3784 0.8784 0.5000
Er 0.6216 0.1216 0.5000
Er 0.6926 0.6926 0.0000
Er 0.8784 0.3784 0.5000

=====

Starting from a structure optimized by DFT (PBE+U), the powder diffraction line list of Ca3Fe2Sb2O12 was computed for CuKα.
Neutral-atom scattering factors, no anomalous dispersion.

Top 12 peaks for 15 to 90 degrees two-theta, in order of rising 2θ:
(1 0 -1), 19.8 deg, I 29
(1 -1 0), 22.5 deg, I 51
(1 1 0), 22.9 deg, I 100
(0 2 0), 32.0 deg, I 43
(-1 1 2), 32.3 deg, I 85
(1 1 -2), 32.5 deg, I 83
(1 1 2), 32.7 deg, I 42
(2 -2 0), 45.8 deg, I 29
(0 0 4), 46.8 deg, I 61
(-3 1 2), 57.7 deg, I 21
(0 2 4), 58.0 deg, I 19
(3 1 -2), 58.2 deg, I 19

Atomic structure:
```
data_Ca3Fe2Sb2O12
_space_group_name_H-M_alt 'P 1'
_space_group_IT_number 1
_cell_length_a 5.5023
_cell_length_b 5.5970
_cell_length_c 7.7638
_cell_angle_alpha 90.36
_cell_angle_beta 90.16
_cell_angle_gamma 91.06
loop_
_space_group_symop_operation_xyz
'x,y,z'
loop_
_atom_site_label
_atom_site_type_symbol
_atom_site_fract_x
_atom_site_fract_y
_atom_site_fract_z
Ca1 Ca 0.0000 0.0000 0.0000
Ca2 Ca 0.0203 0.0935 0.4981
Ca3 Ca 0.5144 0.4820 0.0022
Fe1 Fe 0.5115 0.0217 0.2564
Fe2 Fe 0.9974 0.5449 0.7463
Sb1 Sb 0.0030 0.5486 0.2532
Sb2 Sb 0.5116 0.0230 0.7435
O1 O 0.0945 0.5629 0.9996
O2 O 0.1921 0.8477 0.7150
O3 O 0.1944 0.8509 0.2834
O4 O 0.2875 0.3068 0.7209
O5 O 0.2868 0.3269 0.2759
O6 O 0.4248 0.0609 0.9981
O7 O 0.5987 0.0218 0.4986
O8 O 0.7136 0.7512 0.8105
O9 O 0.7211 0.7522 0.1914
O10 O 0.7941 0.2467 0.7973
O11 O 0.8005 0.2518 0.2055
O12 O 0.9369 0.5110 0.5022
```

=====

1.
Theoretical powder XRD pattern of Cd6AgHg4 for Cu Kα (λ = 1.5418 Å), from a crystal structure in Alexandria, relaxed with PBE.
Neutral-atom scattering factors, no anomalous dispersion.

Largest 10 diffraction maxima, low angle first, 2θ from 10° to 90°:
25.36 deg, intensity 357
29.73 deg, intensity 172
33.78 deg, intensity 875
34.27 deg, intensity 181
35.66 deg, intensity 357
36.81 deg, intensity 1000
38.13 deg, intensity 392
39.85 deg, intensity 331
40.06 deg, intensity 174
44.82 deg, intensity 185

Cell lengths 6.100, 6.100, 7.796 Å; angles 108.25, 108.25, 83.07 degrees
Element x y z (fractional)
Cd 0.000 0.000 0.000
Cd 0.163 0.595 0.680
Cd 0.234 0.824 0.357
Cd 0.462 0.462 0.037
Cd 0.595 0.163 0.680
Ever since the first century people have tried to cast doubt on Jesus’ life and resurrection. The Romans invented a story that His body was stolen. Gnostics taught that Jesus didn’t even have a body. Others say he was merely a good man or merely a prophet. Some deny nearly the entire gospel account of John. Does the “Gospel of Thomas” have any historical credence? What does the Bible say about these ideas?
What does the Bible say about being transgender?
Does the Bible say anything about gender identity? What about cross dressing? What should a parent do when a child says he feels like a member of the opposite sex? How do our feelings impact who we are? Does God want us to be happy above all else? What about “transabled” people and BIID?
More about Jesus: Grace & Truth – An Exposition from John 1
The gospel account of John is about evidence. We examine chapter 1 of John and learn more about Jesus and His word. Is faith alone sufficient to be pleasing to God? Is there any grace in the Old Testament? Is there any law in the New Testament? What about truth, is it certain and objective or uncertain and subjective?
What does the Bible say about our thinking? (Part 2)
John the Baptizer – Witness of The Light
If I Were The Devil Pt. 3
If I Were The Devil Pt 2
Practical Christian Living
Faithful No Matter What
Accounts of Conversion Part 2
Paul’s View of Christianity
Accounts of Conversion (Part 1)
Sacrifice | Milen Womack
Sermon How Deep the Father’s Love
Where Are The Nine?
The Providence of God | Guy Dickinson
A Broken Spirit: Christians and Depression (Part 2)
A Broken Spirit: Christians and Depression (Part 1)
All About The Pope
The Consultant (Part 3)
How Did Jesus View Scripture?
The Consultant (Part 2)
Blind Watchmen
The Consultant – Brother Gary Summers
Bible Q&A – The Soul, ‘Preaching to spirits in prison’
Does the Soul Die with the Body?
False Doctrines About The Deity Of Christ Answered
When Does Death Occur?, Gary Summers
Whom Can I Fellowship Pt 3
When Does Life Begin?, Gary Summers
Whom Can I Fellowship? Part 2, Gary Summers
If Materialism Were True, Gary Summers
Whom Can I Fellowship?
Questions and Answers: Adultery, Gary Summers
Why Study the Bible? Pt. 2, Gary Summers
How to Start Building, Gary Summers
Why Study The Bible? Gary Summers
Q&A Culture Part 4
Jesus’ View from the Cross
QnA Authority
The Wrong Standards
Q&A: Culture Part 3
What does being a disciple imply for my life?
Culture (Pt. 2), Gary Summers
The Law and The Sabbath, Gary Summers
Is Baptism Necessary – Brother Gary Summers
Who Is a Wise Man? Guy Dickinson
Jesus and Intolerance, Gary Summers
The Parable of the Sower, Aaron Sword
Are You a Disciple of Christ? Kerry Sword
The Marks of a Prophet – Brother Gary Summers
Types of Freedom
Freedom In Christ
Sins Against the Home – Brother Gary Summers
Self Justification
The Rejected Christ – Brother Gary Summers
Questions and Answers: Jealousy – Brother Gary Summers
Committed to the Bible?
Hindrances to Effective Prayer – Brother Gary Summers
Nadab and Abihu – Brother Gary Summers
House of Fish
_The entry is interrupted by materials data_
+++
# 1
This entry pairs a crystal structure of Pr2SiTeO4 with its theoretical powder diffractogram. Radiation: Cu Ka. Structure: a GGA-PBE-relaxed structure.
No peak broadening, texture or thermal motion is included.

Atomic structure:
a b c (Å): 9.816 6.495 8.718
angles (deg): 90.00 93.25 90.00
Fractional positions:
Pr: 0.108 0.152 0.189
Pr: 0.108 0.348 0.689
Pr: 0.351 0.693 0.327
Pr: 0.351 0.807 0.827
Pr: 0.649 0.193 0.173
Pr: 0.649 0.307 0.673
Pr: 0.892 0.652 0.311
Pr: 0.892 0.848 0.811
Si: 0.127 0.689 0.055
Si: 0.127 0.811 0.555
Si: 0.873 0.189 0.445
Si: 0.873 0.311 0.945
Te: 0.399 0.212 0.398
Te: 0.399 0.288 0.898
Te: 0.601 0.712 0.102
Te: 0.601 0.788 0.602
O: 0.018 0.192 0.920
O: 0.018 0.308 0.420
O: 0.126 0.631 0.872
O: 0.126 0.869 0.372
O: 0.157 0.511 0.183
O: 0.157 0.989 0.683
O: 0.253 0.643 0.584
O: 0.253 0.857 0.084
O: 0.747 0.143 0.916
O: 0.747 0.357 0.416
O: 0.843 0.011 0.317
O: 0.843 0.489 0.817
O: 0.874 0.131 0.628
O: 0.874 0.369 0.128
O: 0.982 0.692 0.580
O: 0.982 0.808 0.080

Peak list (6 most intense, 2θ = 5–70°, by angle)
2theta  I_rel
26.62  100.0
27.47  56.9
28.19  63.1
29.36  57.5
31.43  63.1
43.88  51.2

# 2
This entry pairs a crystal structure of TaTc2 with its theoretical powder diffractogram. Radiation: Cu Ka. Structure: a GGA-PBE-relaxed structure.
No peak broadening, texture or thermal motion is included.

Atomic structure:
a b c (Å): 5.146 5.146 5.146
angles (deg): 60.00 60.00 60.00
Fractional positions:
Ta: 0.125 0.125 0.125
Ta: 0.875 0.875 0.875
Tc: 0.000 0.500 0.500
Tc: 0.500 0.000 0.500
Tc: 0.500 0.500 0.000
Tc: 0.500 0.500 0.500

Peak list (6 most intense, 2θ = 5–70°, by angle)
2theta  I_rel
21.14  1.9
34.87  48.8
41.14  100.0
43.06  22.9
62.52  18.3
66.79  31.5

# 3
This entry pairs a crystal structure of SnPd3Au3 with its theoretical powder diffractogram. Radiation: Cu Ka. Structure: a GGA-PBE-relaxed structure.
No peak broadening, texture or thermal motion is included.

Atomic structure:
a b c (Å): 5.761 5.761 5.761
angles (deg): 58.59 58.59 58.59
Fractional positions:
Sn: 0.000 0.000 0.000
Pd: 0.000 0.500 0.500
Pd: 0.500 0.000 0.500
Pd: 0.500 0.500 0.000
Au: 0.000 0.000 0.500
Au: 0.000 0.500 0.000
Au: 0.500 0.000 0.000

Peak list (6 most intense, 2θ = 5–70°, by angle)
2theta  I_rel
19.21  23.3
37.85  36.2
39.00  100.0
45.01  66.8
64.76  22.7
66.32  21.1

# 4
This entry pairs a crystal structure of HfTlAgSeS2 with its theoretical powder diffractogram. Radiation: Cu Ka. Structure: a GGA-PBE-relaxed structure.
No peak broadening, texture or thermal motion is included.

Atomic structure:
a b c (Å): 8.113 3.814 10.019
angles (deg): 90.00 109.78 90.00
Fractional positions:
Hf: 0.186 0.250 0.148
Hf: 0.814 0.750 0.852
Tl: 0.233 0.750 0.705
Tl: 0.767 0.250 0.295
Ag: 0.441 0.750 0.388
Ag: 0.559 0.250 0.612
Se: 0.217 0.250 0.423
Se: 0.783 0.750 0.577
S: 0.045 0.250 0.876
S: 0.388 0.750 0.128
S: 0.612 0.250 0.872
S: 0.955 0.750 0.124

Peak list (6 most intense, 2θ = 5–70°, by angle)
2theta  I_rel
24.54  51.0
25.19  60.2
+++
A Destroyer’s Companion – Brother Gary Summers
A practical look at laziness in our lives.